In our most recent session, Generate Voices discussed something that may be difficult for others to talk about, the Cost-of-Living Crisis which has impacted many people in the country.
Also, they went on to discuss the problems they face with using their preferred methods to pay money.
The members decided that it was time to share their thoughts and concerns on both of these.
Members spoke about the many changes in prices that they have noticed in the past year:
These include essential things like food and bills, even the things we like and treat ourselves to.
One member noticed that food that he likes has gone up whist petrol has also gone up and he’s planning to start driving soon.
Terry added “Rail fares and general transport prices have also increased.”
Jodian said “Rent has gone up!”
Michelle added “Household bills have gone up.”
Rio was concerned about this and said, “I don’t know when this will get better.”
**Next to the page, the page also holds crystal structures:**
'''
NiPS2O: relaxed, PBE+U.

Output
Its space group is No. 123. For the energy above the most stable polymorph in this dataset, the calculation gives 76 meV per atom.

Cell: 4.377 4.377 4.324 Å, 90.00 90.00 90.00°
Element x y z (fractional)
Ni (0.000, 0.000, 0.000)
P (0.000, 0.000, 0.500)
S (0.000, 0.500, 0.000)
S (0.500, 0.000, 0.000)
O (0.500, 0.500, 0.500)

=====

1.
! PBE Ce5Te3C, optimized geometry; values from VASP
&SYSTEM
  ibrav = 0, nat = 18, ntyp = 3
/
ATOMIC_SPECIES
Ce 140.12 Ce.upf
Te 127.60 Te.upf
C 12.01 C.upf
ATOMIC_POSITIONS angstrom
Ce -1.017 1.762 1.581
Ce -3.591 6.220 4.743
Ce 2.034 0.000 1.581
Ce 1.017 1.762 4.743
Ce 0.000 5.321 0.000
Ce 0.000 5.321 3.162
Ce 4.608 2.661 0.000
Ce 4.608 2.661 3.162
Ce 7.182 0.000 4.743
Ce 3.591 6.220 1.581
Te -1.816 3.145 4.743
Te -2.792 4.837 1.581
Te 3.632 0.000 4.743
Te 1.816 3.145 1.581
Te 5.585 0.000 1.581
Te 2.792 4.837 4.743
C 0.000 0.000 0.000
C 0.000 0.000 3.162
CELL_PARAMETERS angstrom
9.217 0.000 0.000
-4.608 7.982 0.000
0.000 0.000 6.325
! Formation energy from raw total energies = -0.961 eV/atom

=====

2.
! PBE Ce2Te2C, optimized geometry; values from VASP
&SYSTEM
  ibrav = 0, nat = 10, ntyp = 3
/
ATOMIC_SPECIES
Ce 140.12 Ce.upf
Te 127.60 Te.upf
C 12.01 C.upf
ATOMIC_POSITIONS angstrom
Ce 1.281 1.234 0.000
Ce 1.281 -1.234 3.045
Ce 2.169 7.536 0.000
Ce 2.169 5.068 3.045
Te 4.584 1.844 0.000
Te 1.134 4.458 0.000
Te 2.316 1.844 3.045
Te -1.134 4.458 3.045
C 0.000 0.000 1.522
C 0.000 0.000 4.567
CELL_PARAMETERS angstrom
-3.450 6.302 3.045
3.450 -6.302 3.045
3.450 6.302 -3.045
! Formation energy from raw total energies = -0.882 eV/atom

=====

> What is the formation energy from raw total energies in the first record?

-0.961 eV/atom

=====

> Which value of formation energy from raw total energies does entry 2 give?

-0.882 eV/atom

=====

> What is the formula in the second record?

Ce2Te2C
'''
**Here the page continues:**
Tony and Chiz signposted members to the help that is available for them which include government websites, webinars, schemes, teams and hubs. Many places that can help with budgeting, managing money, accessing food banks etc.
However, what was most important was asking what would the members think should be done about the cost-of-living crisis?
Luis said “Prices must be put down, as people can’t afford to buy important things! If this continues, there will be more people with depression and anxiety.”
Jodian wondered “How many times will the prices keep going up? Now I have to save more of my money by putting my coins in a piggy bank!”
Rio added “It’s important to only buy things that you need like food and heating, also your house bills.”
Michelle said “Prices have gone up but benefits and wages are not rising. This is not right and needs to be balanced by wages and benefits going up as well, then people won’t suffer from missing out on essential things!”
# Here the text breaks off for records of crystals
........
VASP calculation (PBE-GGA) on LuZrCo2 after structural relaxation.

a b c (Å): 6.4612 6.4612 6.4612
angles (deg): 90.00 90.00 90.00
Last column: nearest neighbours and their distance in Å.
Space group Fm-3m (No. 225)
Symmetry-distinct sites (fractional):
1 Lu 0.0000 0.0000 0.0000 [4 per cell]  8 Co 2.80
2 Zr 0.0000 0.0000 0.5000 [4 per cell]  8 Co 2.80
3 Co 0.2500 0.2500 0.2500 [8 per cell]  4 Zr 2.80, 4 Lu 2.80

Results
E	-0.2609	Ha/atom
ΔH_f (0 K)	-280	meV/atom
crystal system	cubic
size of the total moment	1.2	μB per formula unit
polymorph energy (0 for the lowest one)	20	meV per atom

----------

{"formula": "Mg2GaBIr2", "functional": "PBE", "state": "optimized geometry", "sg": "No. 72", "formation_energy_ev_per_atom": -0.353, "cell": [[-3.6235, 5.1552, 2.6482], [3.6235, -5.1552, 2.6482], [3.6235, 5.1552, -2.6482]], "species": ["Mg", "Mg", "Mg", "Mg", "Ga", "Ga", "B", "B", "Ir", "Ir", "Ir", "Ir"], "frac_coords": [[0.2003, 0.1423, 0.3426], [0.2997, 0.6423, 0.9419], [0.7003, 0.3577, 0.0581], [0.7997, 0.8577, 0.6574], [0.2500, 0.7500, 0.5000], [0.7500, 0.2500, 0.5000], [0.2500, 0.2500, 0.0000], [0.7500, 0.7500, 0.0000], [0.0639, 0.7942, 0.8581], [0.4361, 0.2942, 0.7303], [0.5639, 0.7058, 0.2697], [0.9361, 0.2058, 0.1419]]}

{"formula": "SrCdP2Cl", "functional": "PBE", "state": "optimized geometry", "sg": "No. 123", "formation_energy_uncorrected_mev_per_atom": 397, "relative_energy_mev_per_atom": 598, "cell": [[5.8636, 0.0000, 0.0000], [0.0000, 5.8636, 0.0000], [0.0000, 0.0000, 5.4425]], "species": ["Sr", "Cd", "P", "P", "Cl"], "frac_coords": [[0.0000, 0.0000, 0.0000], [0.5000, 0.5000, 0.5000], [0.0000, 0.5000, 0.0000], [0.5000, 0.0000, 0.0000], [0.0000, 0.0000, 0.5000]]}

{"formula": "Y5Mg", "functional": "PBE", "state": "optimized geometry", "sg": "No. 216", "formation_energy_ev_per_atom": 0.246, "relative_energy_mev_per_atom": 263, "cell": [[0.0000, 4.6069, 4.6069], [4.6069, 0.0000, 4.6069], [4.6069, 4.6069, 0.0000]], "species": ["Y", "Y", "Y", "Y", "Y", "Mg"], "frac_coords": [[0.0000, 0.0000, 0.0000], [0.3744, 0.3744, 0.3744], [0.3744, 0.3744, 0.8767], [0.3744, 0.8767, 0.3744], [0.8767, 0.3744, 0.3744], [0.7500, 0.7500, 0.7500]]}
........
# The records of crystals stop here
Everyone agreed with this.
Jodian said. “By using a bank card, you don’t need to have change, and this makes it easier for people who are uncomfortable with using cash! Also, many people with learning disabilities are vulnerable with cash!”
Rio said, “Some families are not even able to feed their children.”
Michelle added “Using cards can be good, but it may be a problem with those who don’t have accounts or understand how banking works, so everybody needs to do what they are comfortable with.”
Rio said, “I’m used to cash handling, but I struggle with online transactions!”
One member said that some companies only accept cash or card, and this is not fair. He prefers to use a card.
Terry said, “I see a lot of people using different methods to spend but it is just important to focus on spending on essentials first! However, I feel that the government are not actually doing anything really about it! Being on Universal Credit is not enough and I find it a struggle without a job in addition to this!”
### Records of crystals that have nothing to do with the entry
-- begin --
YMg4Pb | PBE-GGA | relaxed

Lattice parameters (Å, degrees): 6.0195 6.0195 6.0195 60.00 60.00 60.00
With the nearest neighbours (Å) after each atom.
Fractional positions:
Y: 0.0000 0.0000 0.0000  12 Mg 3.53, 4 Pb 3.69
Mg: 0.8767 0.3744 0.3744  6 Mg 3.00-3.02
Mg: 0.3744 0.3744 0.8767  6 Mg 3.00-3.02
Mg: 0.3744 0.8767 0.3744  6 Mg 3.00-3.02
Mg: 0.3744 0.3744 0.3744  6 Mg 3.00-3.02
Pb: 0.7500 0.7500 0.7500  12 Mg 3.53, 4 Y 3.69

Properties
calculated density	4.2	g cm⁻³
space-group type	F-43m
total DFT energy (no corrections)	-2.77	eV per atom
density of states at the Fermi level	0.91	states/eV/atom


! ZnCr2O4, optimized geometry, DFT PBE with a Hubbard U; values from VASP
! **Total magnetic moment**: 6.00 μB per formula unit
! **Calculated volume**: 10.1 Å³/atom
! **Symmetry**: No. 62
! **Density of states at the Fermi level**: 0.0 states/eV/cell
! **Total DFT energy (no corrections)**: -6.872 eV per atom
&SYSTEM
  ibrav = 0, nat = 28, ntyp = 3
/
ATOMIC_SPECIES
Zn 65.41 Zn.upf
Cr 52.00 Cr.upf
O 16.00 O.upf
CELL_PARAMETERS angstrom
9.1395 0.0000 0.0000
0.0000 2.9440 0.0000
0.0000 0.0000 10.4654
ATOMIC_POSITIONS crystal
Zn 0.2456 0.2500 0.1572
Zn 0.2544 0.7500 0.6572
Zn 0.7456 0.2500 0.3428
Zn 0.7544 0.7500 0.8428
Cr 0.0509 0.2500 0.3808
Cr 0.0969 0.2500 0.9014
Cr 0.4031 0.7500 0.4014
Cr 0.4491 0.7500 0.8808
Cr 0.5509 0.2500 0.1192
Cr 0.5969 0.2500 0.5986
Cr 0.9031 0.7500 0.0986
Cr 0.9491 0.7500 0.6192
O 0.0622 0.7500 0.7820
O 0.0927 0.2500 0.5688
O 0.1168 0.7500 0.0417
O 0.1919 0.7500 0.3285
O 0.3081 0.2500 0.8285
O 0.3832 0.2500 0.5417
O 0.4073 0.7500 0.0688
O 0.4378 0.2500 0.2820
O 0.5622 0.7500 0.7180
O 0.5927 0.2500 0.9312
O 0.6168 0.7500 0.4583
O 0.6919 0.7500 0.1715
O 0.8081 0.2500 0.6715
O 0.8832 0.2500 0.9583
O 0.9073 0.7500 0.4312
O 0.9378 0.2500 0.2180


Material: Fe3Pd8
Method: DFT, PBE
State: optimized geometry

Unit cell a=5.671 b=5.671 c=5.671 alpha=90.16 beta=90.16 gamma=90.16
Element x y z (fractional)
Fe 0.000 0.500 0.500
Fe 0.500 0.500 0.000
Fe 0.500 0.000 0.500
Pd 0.633 0.633 0.633
Pd 0.682 0.877 0.105
Pd 0.123 0.895 0.318
Pd 0.895 0.318 0.123
Pd 0.318 0.123 0.895
Pd 0.877 0.105 0.682
Pd 0.367 0.367 0.367
Pd 0.105 0.682 0.877

Symmetry: R-3 (148)
Calculated volume, Å³ per atom: 16.6
Offset from the most stable computed form, kJ/mol of formula units: 472
Calculated density, g/cm3: 9.28
DFT formation energy, kJ/mol of formula units: 372



Material: MgTl2ClF3
Method: DFT, PBE
State: optimized geometry

Unit cell a=5.048 b=4.002 c=7.762 alpha=104.94 beta=108.98 gamma=90.00
Element x y z (fractional)
Mg 0.000 0.000 0.000
F 0.858 0.858 0.716
F 0.142 0.142 0.284
F 0.000 0.500 0.000
Cl 0.500 0.000 0.000
Tl 0.335 0.335 0.671
Tl 0.665 0.665 0.329

Symmetry: Immm (71)
Calculated volume, Å³ per atom: 20.4
Uncorrected formation energy, eV per atom: -2.1679
Calculated density, g/cm3: 6.12



Material: NaCd2S3
Method: DFT, PBE
State: optimized geometry

Unit cell a=4.018 b=5.486 c=11.981 alpha=90.00 beta=90.00 gamma=90.00
-- stop --
“Also, companies can do their part by consulting before putting prices up” Terry added “If transport strikes and disruptions continue, it will be bad!”
Michelle said, “I’m struggling with the rising heating bills, as I have other bills and it’s really expensive!”
Terry also shared his own experience with not being able to use cash to pay. “One time, I wanted to use cash to buy a bag I wanted, but they refused to sell me the bad even though I had 5 pounds in cash. This is not fair!”
Jodian added “It was understandable during the pandemic, but now everywhere seems to expect to use a card and this is not fair!”
The members were glad that they were discussing this difficult subject as they feel that this goes unnoticed and has an effect on people with learning disabilities! As a way to assist them during the crisis, members are open to discussing money management in depth at a future session.
If you’re interested in Generate Voices and the sessions we run, please do get in touch with the Generate Voices Coordinators, Chiz and Tony!